(What to do)
It remains to work out how many lines further below have the word "exactly" in them; a number is enough.
(Contents)
'''
C2H3NO2 in the gas phase. Source: the Open Molecules 2025 dataset; level of theory: wB97M-V/def2-TZVPD.

Each line ends with the Löwdin charge.
CARTESIAN COORDINATES (ANGSTROEM)
O -0.8957 0.3866 -0.6062  0.004
O -1.5936 -1.1562 0.9368  0.133
N 1.0814 -0.3548 0.0848  0.124
C 0.4320 0.2690 -0.8025  -0.283
C -1.0970 -0.1046 0.7155  -0.328
H -0.7619 0.6540 1.4347  0.145
H 0.7571 0.7517 -1.7241  0.137
H 2.0778 -0.4457 -0.0388  0.069

Atoms 1-3, force components in eV/Å:
O 0.0554 -0.2718 0.2187
O -0.0968 0.7318 -0.1307
N 0.1785 0.1625 -0.3234

Electronic energy, Ha: -283.21639
Net charge: 0
Structure (SMILES): [H]/N=C/OC=O
Max |F|, Eh/bohr: 0.0146
Frontier orbital gap, eV: 11.531
LUMO, eV: 0.886

C2H3NO2 in the gas phase. Source: the Open Molecules 2025 dataset; level of theory: wB97M-V/def2-TZVPD.

Each line ends with the Löwdin charge.
CARTESIAN COORDINATES (ANGSTROEM)
O 0.5606 -0.3897 0.5679  -0.047
O 0.6843 -0.4709 -1.8591  0.134
N -1.2675 0.5883 1.4070  0.114
C 1.0545 -0.9406 -0.8578  -0.133
C -0.4219 0.5082 0.4863  -0.385
H -1.9704 1.3071 1.2851  0.046
H 1.7571 -1.7269 -0.5990  0.142
H -0.3966 1.1246 -0.4304  0.129

Atoms 1-3, force components in eV/Å:
O 1.7116 -2.1208 -2.8643
O 0.0991 -0.3111 -0.1582
N -0.0193 -0.2935 0.5730

Electronic energy, Ha: -283.20668
Net charge: 0
Structure (SMILES): [H]/N=C/OC=O
Max |F|, Eh/bohr: 0.0769
Frontier orbital gap, eV: 10.755
LUMO, eV: 0.530

> Number 2 is which compound?

C2H3NO2

Repeat the second record exactly.
C2H3NO2 in the gas phase. Source: the Open Molecules 2025 dataset; level of theory: wB97M-V/def2-TZVPD.

Each line ends with the Löwdin charge.
CARTESIAN COORDINATES (ANGSTROEM)
O 0.5606 -0.3897 0.5679  -0.047
O 0.6843 -0.4709 -1.8591  0.134
N -1.2675 0.5883 1.4070  0.114
C 1.0545 -0.9406 -0.8578  -0.133
C -0.4219 0.5082 0.4863  -0.385
H -1.9704 1.3071 1.2851  0.046
H 1.7571 -1.7269 -0.5990  0.142
H -0.3966 1.1246 -0.4304  0.129

Atoms 1-3, force components in eV/Å:
O 1.7116 -2.1208 -2.8643
O 0.0991 -0.3111 -0.1582
N -0.0193 -0.2935 0.5730

Electronic energy, Ha: -283.20668
Net charge: 0
Structure (SMILES): [H]/N=C/OC=O
Max |F|, Eh/bohr: 0.0769
Frontier orbital gap, eV: 10.755
LUMO, eV: 0.530

> The highest max |F| belongs to which entry?

number 2


Record 1
This record from the Open Molecules 2025 dataset describes a cluster of 4 separate species, C32H30Br2F12N3O3S2 in total at a distorted geometry. The level of theory is wB97M-V/def2-TZVPD.

CARTESIAN COORDINATES (ANGSTROEM)
C 6.55 2.38 -0.28
C 7.15 2.05 -1.72
Br 9.04 2.62 -2.02
C 6.37 1.38 -2.70
Br 7.26 0.97 -4.45
C 4.86 0.90 -2.58
N 4.36 0.33 -1.27
C 2.95 0.00 -1.66
N 2.37 -1.16 -1.43
C 0.97 -1.41 -1.92
C 0.04 -1.66 -0.63
C -1.52 -1.35 -0.85
S -2.35 -2.87 -1.51
N 2.53 1.21 -2.37
S 1.09 2.01 -1.90
O 0.68 1.40 -0.57
O 0.03 1.79 -2.97
C 1.19 3.85 -1.67
F 2.10 4.29 -0.67
F 1.64 4.45 -2.91
C -0.25 4.57 -1.38
F -1.11 4.50 -2.51
F 0.08 5.96 -1.20
C -0.99 4.05 -0.06
F -0.15 3.81 1.05
F -1.82 2.95 -0.41
F -1.89 5.10 0.34
C 3.66 1.96 -2.97
F 4.16 3.16 -2.36
C 3.77 1.92 -4.60
C 2.62 2.75 -5.34
O 2.89 3.94 -5.66
F 1.34 2.26 -5.71
H 6.42 1.36 0.26
H 7.22 3.01 0.40
H 5.51 2.86 -0.28
H 4.77 0.01 -3.32
H 4.15 1.05 -0.53
H 2.92 -1.88 -0.91
H 0.58 -0.64 -2.67
H 1.01 -2.42 -2.49
H 0.46 -1.10 0.29
H 0.15 -2.78 -0.37
H -1.74 -0.39 -1.43
H -1.96 -1.18 0.21
H -2.14 -2.86 -2.88
H 3.73 0.84 -5.01
H 4.77 2.39 -4.92
F -3.95 -0.76 0.15
C -5.22 -0.74 -0.31
C -6.21 -1.39 0.40
C -7.52 -1.37 -0.07
C -7.82 -0.70 -1.26
C -6.81 -0.06 -1.97
C -5.50 -0.07 -1.49
H -5.96 -1.91 1.32
H -8.31 -1.87 0.49
H -8.84 -0.69 -1.63
H -7.04 0.46 -2.89
H -4.71 0.43 -2.03
F -7.83 -2.57 3.31
C -7.11 -3.17 4.27
C -6.22 -4.17 3.92
C -5.46 -4.79 4.91
C -5.62 -4.40 6.24
C -6.52 -3.40 6.58
C -7.26 -2.77 5.59
H -6.12 -4.46 2.88
H -4.76 -5.57 4.65
H -5.03 -4.89 7.02
H -6.64 -3.10 7.62
H -7.96 -1.98 5.83
F 4.52 0.88 1.22
C 4.30 -0.08 2.15
C 5.32 -0.43 3.02
C 5.09 -1.41 3.98
C 3.85 -2.04 4.05
C 2.83 -1.68 3.16
C 3.06 -0.69 2.21
H 6.28 0.07 2.95
H 5.88 -1.68 4.67
H 3.67 -2.81 4.79
'''
(Reply)
1